






Los Angeles
Art Space 114, Downtown
Tod George Lychkoff, Gronk, Miguel Osuna, Robert Reynolds.
114 West 4th St, LA 90013
Opening December 5th 2024 - 6 pm

Palm Springs
Artier Gallery
Group Show:
Matthew Hance, Moises Ortiz, Scott Ross,
Luigi Fantini, Ender Martos, Ariel Vargassal, Miguel Osuna
Artier Gallery: 844 N. Palm Canyon Drive, Suite A. Palm Springs, CA 92262
December 14th 2024

Los Angeles
Kidspace Children’s Museum
Wired for Wonder: A Multisensory Maze.
PST ART: Art & Science Collide*
Installation in view
January 2025, exact dates tbd

*Pacific Standard Time (PST) is an initiative of the Getty Museum and its Foundation that over the next five months will see more than 70 related exhibitions at Museums, galleries, and public spaces throughout Southern California from San Diego to Pomona, Riverside, Palm Springs, and Orange County.

+++
No. 1
The following is a calculated PXRD pattern of LiVF4. It was derived from the PBE+U geometry in the Materials Project, using Cu Ka.
No peak broadening, texture or thermal motion is included.

Main lines, most intense first (2θ = 10–80°):
| 2θ/deg | I_rel |
| --- | --- |
| 17.85 | 100.0 |
| 20.57 | 44.8 |
| 39.42 | 44.0 |
| 45.98 | 15.9 |
| 29.71 | 14.2 |
| 60.92 | 14.0 |
| 36.07 | 10.5 |
| 29.39 | 9.3 |
| 63.28 | 9.1 |
| 52.27 | 8.8 |

Cell and atoms:
Cell lengths 5.2898, 6.3116, 10.5377 Å; angles 90.00, 109.71, 90.00 degrees
Space group P2_1/c (No. 14)
Inequivalent atoms, fractional coordinates:
Li 0.1062 0.1088 0.4197
V 0.4942 0.6470 0.7513
F 0.1228 0.6702 0.6596
F 0.1506 0.1251 0.6106
F 0.4044 0.1102 0.3538
F 0.4491 0.5921 0.3550


No. 2
The following is a calculated PXRD pattern of MnSbO4. It was derived from the PBE+U geometry in the Materials Project, using Cu Ka.
No peak broadening, texture or thermal motion is included.

Main lines, most intense first (2θ = 10–80°):
| 2θ/deg | I_rel |
| --- | --- |
| 23.79 | 100.0 |
| 23.94 | 98.2 |
| 36.55 | 44.2 |
| 52.69 | 29.8 |
| 37.40 | 28.8 |
| 44.64 | 23.8 |
| 44.98 | 23.2 |
| 51.28 | 22.9 |
| 51.51 | 22.7 |
| 18.45 | 17.2 |

Cell and atoms:
Cell lengths 4.0307, 4.0599, 9.6177 Å; angles 90.00, 90.00, 90.00 degrees
Space group Imm2 (No. 44)
Inequivalent atoms, fractional coordinates:
Mn 0.0000 0.0000 0.0000
Sb 0.0000 0.5000 0.7496
O 0.0000 0.0000 0.2034
O 0.0000 0.0000 0.7929
O 0.0000 0.5000 0.5460
O 0.0000 0.5000 0.9506


No. 3
The following is a calculated PXRD pattern of ZnCoSi2O6. It was derived from the PBE+U geometry in the Materials Project, using Cu Ka.
No peak broadening, texture or thermal motion is included.

Main lines, most intense first (2θ = 10–80°):
| 2θ/deg | I_rel |
| --- | --- |
| 33.46 | 100.0 |
| 30.62 | 80.7 |
| 28.29 | 78.3 |
| 19.24 | 75.6 |
| 27.22 | 69.6 |
| 13.51 | 67.2 |
| 40.38 | 61.9 |
| 36.03 | 58.8 |
| 42.11 | 53.8 |
| 54.76 | 52.9 |

Cell and atoms:
Cell lengths 9.9680, 9.3070, 5.3870 Å; angles 90.00, 112.25, 90.00 degrees
Space group C2/c (No. 15)
Inequivalent atoms, fractional coordinates:
Zn 0.0000 0.2293 0.2500
Co 0.0000 0.1087 0.7500
Si 0.1962 0.4163 0.7281
O 0.1200 0.2605 0.6262
O 0.1248 0.0837 0.1458
O 0.1434 0.4772 0.9635


No. 4
The following is a calculated PXRD pattern of MoP4O12. It was derived from the PBE+U geometry in the Materials Project, using Cu Ka.
No peak broadening, texture or thermal motion is included.

Main lines, most intense first (2θ = 10–80°):
| 2θ/deg | I_rel |
| --- | --- |
| 29.11 | 100.0 |
| 14.13 | 88.4 |
| 18.46 | 77.4 |
| 23.54 | 53.7 |
| 19.75 | 35.6 |
| 30.38 | 28.2 |
| 13.13 | 27.8 |
| 31.60 | 21.0 |
| 35.90 | 20.6 |
| 25.88 | 18.4 |

Cell and atoms:
Cell lengths 12.7095, 8.3957, 10.0878 Å; angles 90.00, 116.99, 90.00 degrees
Space group C2/c (No. 15)
Inequivalent atoms, fractional coordinates:
Mo 0.2500 0.2500 0.0000
P 0.0053 0.2427 0.0316
P 0.1737 0.0172 0.6851
O 0.0094 0.3853 0.3974
O 0.0632 0.0944 0.1512
+++



each column is a series * new works are added at the bottom



Misplaced data records:
=====
Structure and simulated PXRD pattern of TaZnPb3 (the PBE geometry in Alexandria; copper Kα).
Lines closer than 0.1° are merged.

Largest 8 diffraction maxima, sorted by position, 10 to 80 degrees two-theta:
Position (°2θ)	d_spacing	I_rel
16.05	5.523	68.8
27.98	3.189	66.6
32.42	2.762	100.0
36.37	2.470	38.3
46.51	1.953	74.7
55.15	1.665	31.4
57.83	1.594	26.2
77.25	1.235	34.5

Cell and atoms:
```
data_TaZnPb3
_chemical_formula_sum 'Ta1 Zn1 Pb3'
_symmetry_space_group_name_H-M 'P m -3 m'
_symmetry_Int_Tables_number 221
_symmetry_space_group_name_Hall '-P 4 2 3'
_cell_length_a 5.5232
_cell_length_b 5.5232
_cell_length_c 5.5232
_cell_angle_alpha 90.00
_cell_angle_beta 90.00
_cell_angle_gamma 90.00
loop_
_atom_site_label
_atom_site_type_symbol
_atom_site_fract_x
_atom_site_fract_y
_atom_site_fract_z
Ta1 Ta 0.0000 0.0000 0.0000
Zn1 Zn 0.5000 0.5000 0.5000
Pb1 Pb 0.0000 0.0000 0.5000
```


Structure and simulated PXRD pattern of RbH12N3 (the PBE geometry in Alexandria; copper Kα).
Lines closer than 0.1° are merged.

Largest 8 diffraction maxima, sorted by position, 10 to 80 degrees two-theta:
Position (°2θ)	d_spacing	I_rel
13.28	6.668	66.3
18.68	4.751	32.7
18.96	4.680	31.7
22.99	3.869	100.0
23.45	3.793	31.5
26.74	3.334	62.8
29.78	3.000	23.9
30.15	2.964	23.2

Cell and atoms:
```
data_RbH12N3
_chemical_formula_sum 'Rb6 H72 N18'
_symmetry_space_group_name_H-M 'R 3 c'
_symmetry_Int_Tables_number 161
_symmetry_space_group_name_Hall 'R 3 -2"c'
_cell_length_a 9.5014
_cell_length_b 9.5014
_cell_length_c 22.7576
_cell_angle_alpha 90.00
_cell_angle_beta 90.00
_cell_angle_gamma 120.00
loop_
_atom_site_label
_atom_site_type_symbol
_atom_site_fract_x
_atom_site_fract_y
_atom_site_fract_z
Rb1 Rb 0.0000 0.0000 0.0000
H1 H 0.0458 0.2717 0.3192
H2 H 0.0461 0.2731 0.8193
H3 H 0.1672 0.3353 0.3806
H4 H 0.2133 0.1059 0.6519
N1 N 0.0000 0.4998 0.0011
```


Structure and simulated PXRD pattern of HoHfP (the PBE geometry in Alexandria; copper Kα).
Lines closer than 0.1° are merged.

Largest 8 diffraction maxima, sorted by position, 10 to 80 degrees two-theta:
Position (°2θ)	d_spacing	I_rel
28.34	3.149	37.0
33.80	2.652	100.0
35.10	2.557	31.2
36.93	2.434	21.5
39.61	2.275	49.3
45.38	1.998	38.7
58.13	1.587	23.8
58.63	1.575	28.7

Cell and atoms:
```
data_HoHfP
_chemical_formula_sum 'Ho4 Hf4 P4'
_symmetry_space_group_name_H-M 'I 4/m m m'
_symmetry_Int_Tables_number 139
_symmetry_space_group_name_Hall '-I 4 2'
_cell_length_a 3.9968
_cell_length_b 3.9968
_cell_length_c 15.3408
_cell_angle_alpha 90.00
_cell_angle_beta 90.00
_cell_angle_gamma 90.00
loop_
_atom_site_label
_atom_site_type_symbol
_atom_site_fract_x
_atom_site_fract_y
_atom_site_fract_z
Ho1 Ho 0.0000 0.0000 0.1784
Hf1 Hf 0.0000 0.5000 0.0000
P1 P 0.0000 0.0000 0.3713
```


Structure and simulated PXRD pattern of PuScU2Sb4 (the PBE geometry in Alexandria; copper Kα).
Lines closer than 0.1° are merged.

Largest 8 diffraction maxima, sorted by position, 10 to 80 degrees two-theta:
Position (°2θ)	d_spacing	I_rel
29.10	3.069	100.0
=====










In July 2022, the Webb telescope began sending images back to Earth, reminding us of our place in the cosmos. It confirmed a humbling truth: humanity is astonishingly small, a speck in a monstrously vast and incomprehensible universe. Yet, we are uniquely aware of this fact. We can perceive both the monumental grandiosity of existence and our own pitiful insignificance. What a beautiful contradiction.

But this isn’t about the universe—it’s about me.

Who am I? I am the son of Zelma and Miguel Ángel. Partner to one, guardian and caretaker to two, sibling to three, cousin to many, and elder to a growing number. This is how I define myself—through relationships. But is there any other way to understand who we are, except in the context of others? And if I must point to something to define myself, do I point to my mind or my heart?

This is where art comes in.

I make art because it is essential to my being. It sustains me, as nourishment sustains life. At one point, I was horrified to realize that I need to create to live. The horror stemmed from the precariousness of this path—it’s a statistically impractical, almost self-destructive way to sustain oneself.

But with that horror came gratitude. To be in this position—to create, to express—is a privilege. And because I strive to be a person of integrity, I feel an obligation to honor that privilege by producing the best work I can.

Right now, my work is not figurative. It doesn’t represent anything concrete or easily describable. Instead, it manifests specific feelings in particular moments. I don’t create because I believe my emotions are inherently valuable or worth sharing, but because I suspect others feel similar things. It is in that shared experience, in that act of relating, that I believe our humanity lies.

So, here it is—structured, blurry, orderly, blue, undulating, gold. My work is a reflection of me.

MO, 2025

• Unrelated to this text: calculated crystals:
=====
# La2Pr2DyAg5
Calculated X-ray powder pattern, Cu Kα (λ = 1.5418 Å). Input: DFT lattice parameters and positions (GGA-PBE).
Intensities are scaled so that the largest is 100.

Structure:
```
La2Pr2DyAg5
1.0
11.1842 0.0000 0.0000
0.0000 11.1842 0.0000
0.0000 0.0000 4.3192
La Pr Dy Ag
4 4 2 10
Direct
0.1721 0.3279 0.0000
0.3279 0.8279 0.0000
0.6721 0.1721 0.0000
0.8279 0.6721 0.0000
0.1310 0.6310 0.0000
0.3690 0.1310 0.0000
0.6310 0.8690 0.0000
0.8690 0.3690 0.0000
0.0000 0.0000 0.0000
0.5000 0.5000 0.0000
0.0000 0.5000 0.5000
0.0636 0.8194 0.5000
0.1806 0.0636 0.5000
0.3194 0.5636 0.5000
0.4364 0.3194 0.5000
0.5000 0.0000 0.5000
0.5636 0.6806 0.5000
0.6806 0.4364 0.5000
0.8194 0.9364 0.5000
0.9364 0.1806 0.5000
```

Main lines, in order of rising 2θ (15° ≤ 2θ ≤ 90°):
index	2theta	Rel. int.
3 1 1	32.73	100
4 1 0	33.02	22
3 3 0	34.01	14
3 2 1	35.63	25
0 0 2	41.82	22
4 1 2	54.27	16


1.
Starting from the GGA-PBE geometry in Alexandria, the powder diffraction line list of Ac9Nd2Ho was calculated for λ = 1.5418 Å (Cu Kα).
Neutral-atom scattering factors, no anomalous dispersion.

Most intense lines, 5° ≤ 2θ ≤ 70°, by intensity:
index	2theta	intensity
1 1 3	28.0	100
2 0 0	32.5	51
3 1 3	55.2	47
2 2 0	46.6	39
2 2 6	57.9	14
4 0 0	68.0	4
0 0 12	67.9	2
1 0 0	16.1	2
1 1 0	22.8	2
2 1 0	36.4	1

```
data_Ac9Nd2Ho
_chemical_formula_sum 'Ac9 Nd2 Ho1'
_cell_length_a 5.5120
_cell_length_b 5.5120
_cell_length_c 16.5674
_cell_angle_alpha 90.00
_cell_angle_beta 90.00
_cell_angle_gamma 90.00
_space_group_name_H-M_alt 'P 4/m m m'
_space_group_IT_number 123
_space_group_name_Hall '-P 4 2'
loop_
_atom_site_label
_atom_site_type_symbol
_atom_site_fract_x
_atom_site_fract_y
_atom_site_fract_z
Ac1 Ac 0.0000 0.0000 0.0000
Ac2 Ac 0.0000 0.0000 0.3324
Ac3 Ac 0.0000 0.5000 0.1647
Ac4 Ac 0.0000 0.5000 0.5000
Nd1 Nd 0.5000 0.5000 0.3321
Ho1 Ho 0.5000 0.5000 0.0000
```

2.
Starting from the GGA-PBE geometry in Alexandria, the powder diffraction line list of Ac8Nd6Ho was calculated for λ = 1.5418 Å (Cu Kα).
Neutral-atom scattering factors, no anomalous dispersion.

Most intense lines, 5° ≤ 2θ ≤ 70°, by intensity:
index	2theta	intensity
3 0 0	30.5	100
3 3 0	54.2	17
4 -2 6	43.7	14
0 2 4	26.2	12
3 -2 2	28.1	11
1 1 3	21.4	9
3 -1 4	31.6	9
5 -2 4	48.1	7
3 1 8	50.5	6
3 0 12	60.5	6

```
data_Ac8Nd6Ho
_chemical_formula_sum 'Ac24 Nd18 Ho3'
_cell_length_a 10.1621
_cell_length_b 10.1621
_cell_length_c 21.5028
_cell_angle_alpha 90.00
_cell_angle_beta 90.00
_cell_angle_gamma 120.00
_space_group_name_H-M_alt 'R -3'
_space_group_IT_number 148
_space_group_name_Hall '-R 3'
loop_
_atom_site_label
_atom_site_type_symbol
_atom_site_fract_x
_atom_site_fract_y
_atom_site_fract_z
Ac1 Ac 0.0000 0.0000 0.2319
Ac2 Ac 0.0130 0.7140 0.6237
Nd1 Nd 0.0005 0.6909 0.1292
Ho1 Ho 0.0000 0.0000 0.5000
```

3.
Starting from the GGA-PBE geometry in Alexandria, the powder diffraction line list of AcNd2Ho6 was calculated for λ = 1.5418 Å (Cu Kα).
Neutral-atom scattering factors, no anomalous dispersion.
=====

© MIGUEL OSUNA 2023           updated May '24